Please search the contents further down for the word "Cl7" and echo each line that has it.

'''
Calculated X-ray powder pattern
Compound: BaTa3Fe
Radiation: Cu Kα (λ = 1.5418 Å)
Structure: a PBE-relaxed structure
Lines closer than 0.1° are merged.

Atomic structure:
abc: 4.8061 4.8061 4.8061
angles: 90.00 90.00 90.00
Space group Pm-3m (No. 221)
Asymmetric unit:
Ba  0.0000  0.0000  0.0000 (multiplicity 1)
Ta  0.0000  0.5000  0.5000 (multiplicity 3)
Fe  0.5000  0.5000  0.5000 (multiplicity 1)

The 12 most intense peaks (2θ = 15–90°), in order of rising 2θ:
18.5°, I = 9
32.3°, I = 100
37.4°, I = 72
42.0°, I = 4
54.0°, I = 50
57.5°, I = 2
64.3°, I = 43
67.5°, I = 17
70.7°, I = 1
79.8°, I = 8
82.8°, I = 1
88.7°, I = 19

* * * * *

No. 1
Calculated powder diffractogram
Compound: Rb2SrCeCl8
Radiation: Cu Kα, 1.54184 Å
Structure: a cell relaxed with GGA-PBE
Intensities are scaled so that the largest is 100.

Principal peaks in the range 15° ≤ 2θ ≤ 90°, in order of rising 2θ:
2θ/deg  intensity
17.18  100
17.84  67
23.50  69
33.71  33
34.36  86
42.11  38

Crystal structure
abc: 7.0120 8.9955 7.3305
angles: 90.00 92.14 90.00
Positions (direct):
Rb1 0.0000 0.2476 0.0000
Rb2 0.0000 0.7524 0.0000
Sr1 0.5000 0.0000 0.5000
Ce1 0.5000 0.5000 0.5000
Cl1 0.2594 0.0000 0.1889
Cl2 0.2887 0.5000 0.1997
Cl3 0.2912 0.2785 0.6310
Cl4 0.2912 0.7215 0.6310
Cl5 0.7088 0.2785 0.3690
Cl6 0.7088 0.7215 0.3690
Cl7 0.7113 0.5000 0.8003
Cl8 0.7406 0.0000 0.8111


No. 2
Calculated powder diffractogram
Compound: Na3U3PbSe8
Radiation: Cu Kα, 1.54184 Å
Structure: a cell relaxed with GGA-PBE
Intensities are scaled so that the largest is 100.

Principal peaks in the range 15° ≤ 2θ ≤ 90°, in order of rising 2θ:
2θ/deg  intensity
24.77  26
29.92  100
39.14  21
42.77  37
42.84  25
70.44  22

Crystal structure
abc: 8.4432 8.4432 8.4625
angles: 119.98 119.98 59.81
Positions (direct):
Na1 0.0000 0.0000 0.0000
Na2 0.0000 0.5000 0.0000
Na3 0.5000 0.0000 0.0000
U1 0.0000 0.5000 0.5000
U2 0.5000 0.0000 0.5000
U3 0.5000 0.5000 0.5000
Pb1 0.0000 0.0000 0.5000
Se1 0.2540 0.2540 0.7308
Se2 0.2543 0.7232 0.7319
Se3 0.2554 0.2554 0.2668
Se4 0.2768 0.7457 0.2681
Se5 0.7232 0.2543 0.7319
Se6 0.7446 0.7446 0.7332
Se7 0.7457 0.2768 0.2681
Se8 0.7460 0.7460 0.2692


No. 3
Calculated powder diffractogram
Compound: Hf5Cr
Radiation: Cu Kα, 1.54184 Å
Structure: a cell relaxed with GGA-PBE
Intensities are scaled so that the largest is 100.

Principal peaks in the range 15° ≤ 2θ ≤ 90°, in order of rising 2θ:
2θ/deg  intensity
35.38  100
40.98  33
41.29  16
59.58  22
70.97  13
71.45  13

Crystal structure
abc: 4.4090 13.1995 4.3735
angles: 90.00 90.00 90.00
Positions (direct):
Hf1 0.0000 0.0000 0.0000
Hf2 0.0000 0.1651 0.5000
Hf3 0.0000 0.3349 0.0000
Hf4 0.0000 0.6651 0.0000
Hf5 0.0000 0.8349 0.5000
Hf6 0.5000 0.1651 0.0000
Hf7 0.5000 0.3349 0.5000
Hf8 0.5000 0.5000 0.0000
Hf9 0.5000 0.6651 0.5000
Hf10 0.5000 0.8349 0.0000
Cr1 0.0000 0.5000 0.5000
Cr2 0.5000 0.0000 0.5000


No. 4
Calculated powder diffractogram
Compound: La2Nd4Er3
Radiation: Cu Kα, 1.54184 Å
Structure: a cell relaxed with GGA-PBE
Intensities are scaled so that the largest is 100.

Principal peaks in the range 15° ≤ 2θ ≤ 90°, in order of rising 2θ:
2θ/deg  intensity
30.03  100
30.10  33
34.66  23
49.97  24
50.21  24
59.57  24

Crystal structure
abc: 5.1466 6.3324 10.8782
angles: 73.35 76.36 66.06
Positions (direct):
La1 0.1664 0.3919 0.2751
La2 0.8336 0.6081 0.7249
Nd1 0.1662 0.0555 0.6123
Nd2 0.4981 0.1684 0.8354
Nd3 0.5019 0.8316 0.1646
Nd4 0.8338 0.9445 0.3877
Er1 0.1650 0.7242 0.9460
Er2 0.5000 0.5000 0.5000
Er3 0.8350 0.2758 0.0540


No. 5
Calculated powder diffractogram
Compound: ErThSbTe
Radiation: Cu Kα, 1.54184 Å
Structure: a cell relaxed with GGA-PBE
Intensities are scaled so that the largest is 100.

Principal peaks in the range 15° ≤ 2θ ≤ 90°, in order of rising 2θ:
2θ/deg  intensity
28.53  100
40.79  77
50.53  28
66.76  12
66.92  24
74.29  18

Crystal structure
abc: 4.4202 4.4202 6.2697
angles: 90.00 90.00 90.00
Positions (direct):
Er1 0.0000 0.0000 0.0000
Th1 0.5000 0.5000 0.5000
Sb1 0.5000 0.5000 0.0000
'''

Cl7 0.7113 0.5000 0.8003